-- Contents --
# KMnAs
Computed X-ray powder pattern, copper Kα. Input: a DFT-relaxed cell (PBE, the Materials Project).

Peak list (10 most intense, 2θ from 5° to 70°, in order of rising 2θ)
2θ (°), intensity
11.10, 100
23.20, 17
28.88, 17
30.34, 81
36.79, 56
41.30, 48
44.98, 23
50.30, 16
52.10, 33
54.79, 18

Crystal structure
Unit cell a=4.372 b=4.372 c=7.975 alpha=90.00 beta=90.00 gamma=90.00
Space group P4/nmm (No. 129, origin choice 2)
One atom of each set of equivalent atoms:
K1 0.250 0.250 0.153 (multiplicity 2)
Mn1 0.250 0.750 0.500 (multiplicity 2)
As1 0.250 0.250 0.671 (multiplicity 2)


# ThCo2Ge2
Computed X-ray powder pattern, copper Kα. Input: a DFT-relaxed cell (PBE, the Materials Project).

Peak list (10 most intense, 2θ from 5° to 70°, in order of rising 2θ)
2θ (°), intensity
23.27, 34
30.46, 37
34.93, 100
35.65, 86
43.61, 56
51.53, 25
57.05, 49
63.38, 18
65.34, 21
69.75, 20

Crystal structure
Unit cell a=4.151 b=4.151 c=9.809 alpha=90.00 beta=90.00 gamma=90.00
Space group I4/mmm (No. 139)
One atom of each set of equivalent atoms:
Th1 0.000 0.000 0.000 (multiplicity 2)
Co1 0.000 0.500 0.250 (multiplicity 4)
Ge1 0.000 0.000 0.366 (multiplicity 4)


# CsNdS2
Computed X-ray powder pattern, copper Kα. Input: a DFT-relaxed cell (PBE, the Materials Project).

Peak list (10 most intense, 2θ from 5° to 70°, in order of rising 2θ)
2θ (°), intensity
22.02, 35
24.80, 19
26.61, 100
29.39, 59
32.93, 16
41.57, 45
42.53, 42
48.40, 27
50.88, 17
63.57, 17

Crystal structure
Unit cell a=4.2511 b=4.2511 c=16.1458 alpha=90.00 beta=90.00 gamma=120.00
Space group P6_3/mmc (No. 194)
One atom of each set of equivalent atoms:
Cs1 0.3333 0.6667 0.2500 (multiplicity 2)
Nd1 0.0000 0.0000 0.0000 (multiplicity 2)
S1 0.3333 0.6667 0.5936 (multiplicity 4)

* * * * *

Diffraction record for TbPmSnRu. The powder X-ray diffraction pattern is calculated, not measured: it uses DFT lattice parameters and positions (PBE) and copper Kα.
Lines closer than 0.1° are merged.

a = 3.788 Å, b = 4.634 Å, c = 11.546 Å
α = 90.00°, β = 90.00°, γ = 90.00°
Space group Amm2 (No. 38)
Symmetry-distinct sites (fractional):
Tb 0.000 0.000 0.000 [2 per cell]
Pm 0.500 0.000 0.297 [2 per cell]
Sn 0.000 0.000 0.701 [2 per cell]
Ru 0.500 0.000 0.532 [2 per cell]

The 10 most intense peaks (2θ from 10° to 90°), low angle first:
30.2°, intensity 38, hkl 0 1 3; 31.0°, intensity 24, hkl 0 0 4; 31.5°, intensity 100, hkl 1 1 1; 38.6°, intensity 47, hkl 1 1 3; 38.9°, intensity 32, hkl 0 2 0; 39.2°, intensity 24, hkl 1 0 4; 48.0°, intensity 17, hkl 2 0 0; 50.3°, intensity 13, hkl 1 1 5; 56.4°, intensity 17, hkl 1 2 4; 63.4°, intensity 15, hkl 2 2 0



Diffraction record for CsI. The powder X-ray diffraction pattern is calculated, not measured: it uses DFT lattice parameters and positions (PBE) and copper Kα.
Lines closer than 0.1° are merged.

a = 4.661 Å, b = 4.661 Å, c = 4.661 Å
α = 90.00°, β = 90.00°, γ = 90.00°
Space group Pm-3m (No. 221)
Symmetry-distinct sites (fractional):
Cs 0.000 0.000 0.000 [1 per cell]
I 0.500 0.500 0.500 [1 per cell]

The 9 most intense peaks (2θ from 10° to 90°), low angle first:
27.1°, intensity 100, hkl 1 1 0; 38.6°, intensity 19, hkl 2 0 0; 47.8°, intensity 41, hkl 2 1 1; 55.8°, intensity 13, hkl 2 2 0; 63.1°, intensity 18, hkl 3 1 0; 69.9°, intensity 4, hkl 2 2 2; 76.5°, intensity 21, hkl 3 2 1; 82.8°, intensity 2, hkl 4 0 0; 89.1°, intensity 11, hkl 4 1 1

* * * * *

Record 1
Diffraction record for K2Pd2Se5. The powder XRD pattern is theoretical, not measured: it uses a cell relaxed with PBE and λ = 1.5418 Å (Cu Kα).
Intensities are scaled so that the largest is 100.

Structure:
Lattice parameters (Å, degrees): 11.2482 8.5475 10.8939 90.00 106.25 90.00
Space group C2/c (No. 15)
Unique sites:
K 0.2431 0.1927 0.2984
Pd 0.0965 0.3226 0.9349
Se 0.0000 0.1454 0.7500
Se 0.0106 0.4153 0.3671
Se 0.1904 0.0650 0.9962

Largest 10 diffraction maxima, low angle first, 2θ from 5° to 70°:
2theta  d/Å  Rel. int.
13.21  6.702  39
14.41  6.149  100
16.94  5.234  27

-- What to do --
Return the whole of the block further up without altering anything, please.

-- Done --
# KMnAs
Computed X-ray powder pattern, copper Kα. Input: a DFT-relaxed cell (PBE, the Materials Project).

Peak list (10 most intense, 2θ from 5° to 70°, in order of rising 2θ)
2θ (°), intensity
11.10, 100
23.20, 17
28.88, 17
30.34, 81
36.79, 56
41.30, 48
44.98, 23
50.30, 16
52.10, 33
54.79, 18

Crystal structure
Unit cell a=4.372 b=4.372 c=7.975 alpha=90.00 beta=90.00 gamma=90.00
Space group P4/nmm (No. 129, origin choice 2)
One atom of each set of equivalent atoms:
K1 0.250 0.250 0.153 (multiplicity 2)
Mn1 0.250 0.750 0.500 (multiplicity 2)
As1 0.250 0.250 0.671 (multiplicity 2)


# ThCo2Ge2
Computed X-ray powder pattern, copper Kα. Input: a DFT-relaxed cell (PBE, the Materials Project).

Peak list (10 most intense, 2θ from 5° to 70°, in order of rising 2θ)
2θ (°), intensity
23.27, 34
30.46, 37
34.93, 100
35.65, 86
43.61, 56
51.53, 25
57.05, 49
63.38, 18
65.34, 21
69.75, 20

Crystal structure
Unit cell a=4.151 b=4.151 c=9.809 alpha=90.00 beta=90.00 gamma=90.00
Space group I4/mmm (No. 139)
One atom of each set of equivalent atoms:
Th1 0.000 0.000 0.000 (multiplicity 2)
Co1 0.000 0.500 0.250 (multiplicity 4)
Ge1 0.000 0.000 0.366 (multiplicity 4)


# CsNdS2
Computed X-ray powder pattern, copper Kα. Input: a DFT-relaxed cell (PBE, the Materials Project).

Peak list (10 most intense, 2θ from 5° to 70°, in order of rising 2θ)
2θ (°), intensity
22.02, 35
24.80, 19
26.61, 100
29.39, 59
32.93, 16
41.57, 45
42.53, 42
48.40, 27
50.88, 17
63.57, 17

Crystal structure
Unit cell a=4.2511 b=4.2511 c=16.1458 alpha=90.00 beta=90.00 gamma=120.00
Space group P6_3/mmc (No. 194)
One atom of each set of equivalent atoms:
Cs1 0.3333 0.6667 0.2500 (multiplicity 2)
Nd1 0.0000 0.0000 0.0000 (multiplicity 2)
S1 0.3333 0.6667 0.5936 (multiplicity 4)

* * * * *

Diffraction record for TbPmSnRu. The powder X-ray diffraction pattern is calculated, not measured: it uses DFT lattice parameters and positions (PBE) and copper Kα.
Lines closer than 0.1° are merged.

a = 3.788 Å, b = 4.634 Å, c = 11.546 Å
α = 90.00°, β = 90.00°, γ = 90.00°
Space group Amm2 (No. 38)
Symmetry-distinct sites (fractional):
Tb 0.000 0.000 0.000 [2 per cell]
Pm 0.500 0.000 0.297 [2 per cell]
Sn 0.000 0.000 0.701 [2 per cell]
Ru 0.500 0.000 0.532 [2 per cell]

The 10 most intense peaks (2θ from 10° to 90°), low angle first:
30.2°, intensity 38, hkl 0 1 3; 31.0°, intensity 24, hkl 0 0 4; 31.5°, intensity 100, hkl 1 1 1; 38.6°, intensity 47, hkl 1 1 3; 38.9°, intensity 32, hkl 0 2 0; 39.2°, intensity 24, hkl 1 0 4; 48.0°, intensity 17, hkl 2 0 0; 50.3°, intensity 13, hkl 1 1 5; 56.4°, intensity 17, hkl 1 2 4; 63.4°, intensity 15, hkl 2 2 0



Diffraction record for CsI. The powder X-ray diffraction pattern is calculated, not measured: it uses DFT lattice parameters and positions (PBE) and copper Kα.
Lines closer than 0.1° are merged.

a = 4.661 Å, b = 4.661 Å, c = 4.661 Å
α = 90.00°, β = 90.00°, γ = 90.00°
Space group Pm-3m (No. 221)
Symmetry-distinct sites (fractional):
Cs 0.000 0.000 0.000 [1 per cell]
I 0.500 0.500 0.500 [1 per cell]

The 9 most intense peaks (2θ from 10° to 90°), low angle first:
27.1°, intensity 100, hkl 1 1 0; 38.6°, intensity 19, hkl 2 0 0; 47.8°, intensity 41, hkl 2 1 1; 55.8°, intensity 13, hkl 2 2 0; 63.1°, intensity 18, hkl 3 1 0; 69.9°, intensity 4, hkl 2 2 2; 76.5°, intensity 21, hkl 3 2 1; 82.8°, intensity 2, hkl 4 0 0; 89.1°, intensity 11, hkl 4 1 1

* * * * *

Record 1
Diffraction record for K2Pd2Se5. The powder XRD pattern is theoretical, not measured: it uses a cell relaxed with PBE and λ = 1.5418 Å (Cu Kα).
Intensities are scaled so that the largest is 100.

Structure:
Lattice parameters (Å, degrees): 11.2482 8.5475 10.8939 90.00 106.25 90.00
Space group C2/c (No. 15)
Unique sites:
K 0.2431 0.1927 0.2984
Pd 0.0965 0.3226 0.9349
Se 0.0000 0.1454 0.7500
Se 0.0106 0.4153 0.3671
Se 0.1904 0.0650 0.9962

Largest 10 diffraction maxima, low angle first, 2θ from 5° to 70°:
2theta  d/Å  Rel. int.
13.21  6.702  39
14.41  6.149  100
16.94  5.234  27